Conference Policies

HoMMUNC believes in giving students the opportunity to debate international relations and experience Model UN in an accepting and positive environment. We welcome students of all experience levels to participate and learn, and we seek to help students familiarize themselves with the fundamental aspects of Model UN: research, debate, and collaboration. Ultimately, we aim to instill a sense of love for Model UN in all of our delegates. We reward leaders who improve the quality of discussion and the atmosphere of committee while at HoMMUNC. In the pursuit of these ends, we have instituted the following policies for HoMMUNC XXXVIII:

Data records, kept here for reference =
~~~
(1)
VASP calculation (GGA-PBE) on an optimized crystal structure of Pr15Er4In.

It has space group P4/mmm (No. 123), with a = 5.139 Å, b = 5.139 Å, c = 25.871 Å, α = 90.00°, β = 90.00° and γ = 90.00°. Symmetry generates all atoms from Pr at (0.000, 0.000, 0.000), Pr at (0.000, 0.000, 0.198), Pr at (0.000, 0.000, 0.399), Pr at (0.000, 0.500, 0.097), Pr at (0.000, 0.500, 0.299), Pr at (0.000, 0.500, 0.500), Er at (0.500, 0.500, 0.198), Er at (0.500, 0.500, 0.400) and In at (0.500, 0.500, 0.000).

The calculated density comes out at 7.04 g cm⁻³. Its formation energy is -0.040 eV per atom.

---

(2)
VASP calculation (GGA-PBE) on an optimized crystal structure of AcHoAl2Si2.

It has space group P-3m1 (No. 164), with a = 4.2256 Å, b = 4.2256 Å, c = 8.6928 Å, α = 90.00°, β = 90.00° and γ = 120.00°. Symmetry generates all atoms from Ac at (0.0000, 0.0000, 0.0000), Ho at (0.0000, 0.0000, 0.5000), Al at (0.3333, 0.6667, 0.7354) and Si at (0.3333, 0.6667, 0.2818).

The calculated density comes out at 6.20 g cm⁻³. The uncorrected formation energy is -0.565 eV/atom.

---

(3)
VASP calculation (GGA-PBE) on an optimized crystal structure of Pr3Er4Th.

It has space group Immm (No. 71), with a = 3.436 Å, b = 11.686 Å, c = 13.213 Å, α = 90.00°, β = 90.00° and γ = 90.00°. Symmetry generates all atoms from Pr at (0.000, 0.000, 0.000), Pr at (0.000, 0.500, 0.232), Er at (0.000, 0.252, 0.367) and Th at (0.000, 0.000, 0.500).

For the offset from the most stable computed form, the calculation gives 9.6 kJ/mol of atoms. The calculated density comes out at 8.29 g cm⁻³. Its formation energy is 0.152 eV per atom.

---

(4)
VASP calculation (GGA-PBE) on an optimized crystal structure of Er2ThRh3.

It has space group P-3m1 (No. 164), with a = 4.9017 Å, b = 4.9017 Å, c = 5.9858 Å, α = 90.00°, β = 90.00° and γ = 120.00°. Symmetry generates all atoms from Er at (0.3333, 0.6667, 0.1546), Th at (0.0000, 0.0000, 0.5000), Rh at (0.0000, 0.0000, 0.0000) and Rh at (0.3333, 0.6667, 0.6566).

The calculated density comes out at 11.67 g cm⁻³. Its formation energy is -0.885 eV per atom.

---

(5)
VASP calculation (GGA-PBE) on an optimized crystal structure of ErTlZn4.

It has space group F-43m (No. 216), with a = 7.772 Å, b = 7.772 Å, c = 7.772 Å, α = 90.00°, β = 90.00° and γ = 90.00°. Symmetry generates all atoms from Er at (0.000, 0.000, 0.000), Tl at (0.250, 0.250, 0.750) and Zn at (0.126, 0.126, 0.374).

The calculated density comes out at 8.96 g cm⁻³. Its formation energy is -0.093 eV per atom.

---

(6)
VASP calculation (GGA-PBE) on an optimized crystal structure of FeNi2Pd4.

It has space group I-42d (No. 122), with a = 7.439 Å, b = 7.439 Å, c = 7.451 Å, α = 90.00°, β = 90.00° and γ = 90.00°. Symmetry generates all atoms from Fe at (0.000, 0.000, 0.000), Ni at (0.126, 0.750, 0.625) and Pd at (0.082, 0.670, 0.957).
~~~


HoMMUNC XXXVIII will charge a $45 delegate fee along with a $80 fee for each delegation. Once you register, we will send your faculty advisor an invoice. Please refer to the Registration Page for more details about payment.

Financial aid

HoMMUNC XXXVIII will provide financial aid when necessary. If your delegation has issues paying any of the fees, please Email Us or use the Contact Us Page to request financial aid.

**Inserted here: materials data**
First-principles (GGA-PBE) data for a relaxed structure of Dy12In6Ga, as listed in Alexandria.

a = 8.795 Å, b = 8.795 Å, c = 8.795 Å
α = 99.89°, β = 99.89°, γ = 99.89°
Sites, in units of the cell vectors:
Dy1 0.820 0.570 0.433
Dy2 0.433 0.820 0.570
Dy3 0.570 0.433 0.820
Dy4 0.180 0.430 0.567
Dy5 0.567 0.180 0.430
Dy6 0.430 0.567 0.180
Dy7 0.061 0.957 0.319
Dy8 0.043 0.681 0.939
Dy9 0.681 0.939 0.043
Dy10 0.939 0.043 0.681
Dy11 0.957 0.319 0.061
Dy12 0.319 0.061 0.957
In1 0.698 0.864 0.379
In2 0.621 0.302 0.136
In3 0.136 0.621 0.302
In4 0.302 0.136 0.621
In5 0.379 0.698 0.864
In6 0.864 0.379 0.698
Ga1 0.000 0.000 0.000

Values from the calculation:
- E (eV/atom) = -3.970
- formation energy (eV/atom) = -0.039
- SG = R-3 (148)


All working papers, draft resolutions, directives, communiqués, press releases, and any other forms of committee legislation may not be written before the beginning of the first committee session of HoMMUNC XXXVIII. Any delegate discovered with pre-written committee legislation will be disqualified from receiving an award, and their school will be disqualified from receiving a delegation award.


Upon concluding debate, the HoMMUNC XXXVIII Secretariat will give awards to two delegations based on the performance of their delegates in committee. These awards are determined using a point system where the delegation with the highest point average will receive the Best Large Delegation award and so on with the Outstanding Large Delegation award. The following delegation awards will be awarded at HoMMUNC XXXVIII.

First Place: Best Large Delegation
Second Place: Outstanding Large Delegation


Every piece of committee legislation submitted at HoMMUNC XXXVIII must be the original work of the delegate sponsoring it. Any delegates found plagiarizing the work of another delegate or the work of any institution will be disqualified from receiving awards, and their schools will be disqualified from receiving a delegation award.

Crystal structures, as found in the file
/*
The following is a DFT calculation (PBE) of crystalline RbPd5Se8 at its relaxed geometry.

- M_tot: 0.000 μB/atom
- VASP energy: -4.276 eV per atom
- Space group: C2/m
- Uncorrected formation energy: -0.3614 eV per atom

Lattice parameters (Å, degrees): 3.868 8.927 9.847 105.25 101.33 90.00
Fractional coordinates of all 14 atoms:
Se (0.913, 0.165, 0.825)
Pd (0.703, 0.328, 0.405)
Se (0.431, 0.837, 0.861)
Pd (0.340, 0.015, 0.680)
Pd (0.000, 0.000, 0.000)
Se (0.237, 0.152, 0.475)
Pd (0.297, 0.672, 0.595)
Se (0.828, 0.513, 0.655)
Se (0.172, 0.487, 0.345)
Se (0.763, 0.848, 0.525)
Pd (0.660, 0.985, 0.320)
Rb (0.500, 0.500, 0.000)
Se (0.088, 0.835, 0.175)
Se (0.569, 0.163, 0.139)

***

The following is a DFT calculation (PBE) of crystalline Rb3PdSe2 at its relaxed geometry.

- M_tot: 0.000 μB/atom
- VASP energy: -3.188 eV per atom
- Space group: Ibam
- Uncorrected formation energy: -0.6773 eV per atom

Lattice parameters (Å, degrees): 8.477 7.338 8.882 114.40 118.50 90.00
Fractional coordinates of all 12 atoms:
Se (0.727, 0.918, 0.837)
Rb (0.004, 0.177, 0.353)
Rb (0.500, 0.750, 0.000)
Pd (0.000, 0.250, 0.000)
Rb (0.349, 0.677, 0.353)
Rb (0.996, 0.823, 0.647)
Pd (0.000, 0.750, 0.000)
Rb (0.500, 0.250, 0.000)
Se (0.110, 0.418, 0.837)
Se (0.273, 0.082, 0.163)
Se (0.890, 0.582, 0.163)
Rb (0.651, 0.323, 0.647)

***

The following is a DFT calculation (PBE) of crystalline RbPdSe at its relaxed geometry.

- M_tot: 0.000 μB/atom
- VASP energy: -3.860 eV per atom
- Space group: P-6m2
- Uncorrected formation energy: -0.6445 eV per atom

Lattice parameters (Å, degrees): 5.341 4.310 4.310 120.00 90.00 90.00
Fractional coordinates of all 3 atoms:
Se (0.167, 0.000, 0.000)
Rb (0.667, 0.667, 0.333)
Pd (0.167, 0.333, 0.667)

***

The following is a DFT calculation (PBE) of crystalline RbPdSe at its relaxed geometry.

- M_tot: 0.000 μB/atom
- VASP energy: -3.900 eV per atom
- Space group: Pnma
- Uncorrected formation energy: -0.6852 eV per atom

Lattice parameters (Å, degrees): 4.523 8.156 10.554 90.00 90.00 90.00
Fractional coordinates of all 12 atoms:
Rb (0.250, 0.539, 0.704)
Pd (0.750, 0.599, 0.992)
Pd (0.250, 0.401, 0.008)
Se (0.250, 0.216, 0.484)
Rb (0.250, 0.039, 0.796)
Se (0.250, 0.716, 0.016)
Rb (0.750, 0.461, 0.296)
Pd (0.250, 0.901, 0.492)
Se (0.750, 0.284, 0.984)
Rb (0.750, 0.961, 0.204)
Pd (0.750, 0.099, 0.508)
Se (0.750, 0.784, 0.516)

~~~~~

K3Sm2SnO6 | PBE | relaxed

```
12
Lattice="3.076 -5.327 0.000 3.076 5.327 0.000 -2.041 0.000 6.294" Properties=species:S:1:pos:R:3 pbc="T T T"
K 0.000 0.000 0.000
K 3.076 1.728 0.000
K 3.076 -1.728 0.000
Sm 2.055 3.549 3.147
Sm 2.055 -3.549 3.147
Sn 2.055 0.000 3.147
O 1.040 1.757 1.946
O 0.027 0.000 4.343
O 1.040 -1.757 1.946
O 3.070 1.757 4.348
O 4.083 0.000 1.951
O 3.070 -1.757 4.348
```

Uncorrected formation energy, eV/atom: -2.196


AuSe2S | PBE | relaxed

```
8
Lattice="-2.679 2.679 6.966 2.679 -2.679 6.966 2.679 2.679 -6.966" Properties=species:S:1:pos:R:3 pbc="T T T"
Au 0.000 0.000 0.000
Au 0.000 2.679 3.483
*/


Position papers are not required for HoMMUNC XXXVIII, although the dais will receive them if they are sent before the conference. If you would like to send a position paper, you can find your chair’s email on the background guide. Position papers will have no bearing on awards in committee, and the vast majority of delegates attending HoMMUNC will not submit position papers. As such, HoMMUNC will not be providing guidelines for writing position papers. However, delegates are free to write position papers in the interest of focusing their ideas and country policies in order to better their understanding of the topic at hand.

If you have any questions regarding the policies above or anything related to HoMMUNC, please feel free to send us an email.